Friday, October 5, 2012

Misplaced data records
........
No. 1
Computed, not measured: an isolated molecule of C5H10 at a distorted geometry, with the ωB97M-V functional and the def2-TZVPD basis.

Cartesian coordinates (Å):
C (1.66989, 0.17462, 1.34056)
C (0.99565, 0.92946, 0.47045)
C (-0.51181, 0.85691, 0.35370)
C (-1.02724, 0.12521, -0.88787)
C (-0.56673, -1.36377, -0.88238)
H (2.74804, 0.18597, 1.43451)
H (1.15818, -0.44029, 2.10239)
H (1.51030, 1.54477, -0.23994)
H (-0.89893, 1.90511, 0.37068)
H (-0.92728, 0.34879, 1.23352)
H (-0.65280, 0.60604, -1.80852)
H (-2.12364, 0.28472, -0.89213)
H (-0.99839, -1.87084, -1.77255)
H (0.52290, -1.38501, -0.88081)
H (-0.89813, -1.90168, 0.05839)

Output
**SMILES**: C=CCCC

***

No. 2
Computed, not measured: an isolated molecule of C5H10, with the ωB97M-V functional and the def2-TZVPD basis.

Cartesian coordinates (Å):
C (1.12739, 0.45183, -1.27109)
C (0.28942, 1.19232, -0.24222)
C (-0.63333, 0.30452, 0.55641)
C (-1.41377, -0.97243, 0.43359)
C (-0.02525, -1.05571, 0.96170)
H (0.52593, -0.32310, -1.76107)
H (1.97602, -0.04829, -0.79154)
H (1.51299, 1.12708, -2.03776)
H (-0.19003, 2.08125, -0.66610)
H (0.95053, 1.57946, 0.54806)
H (-1.17566, 0.93576, 1.26793)
H (-2.15691, -0.98681, 1.22145)
H (-1.70489, -1.49318, -0.46949)
H (0.25808, -1.24012, 1.98696)
H (0.65948, -1.55257, 0.26316)

Output
**SMILES**: CCC1CC1

***

No. 3
Computed, not measured: an isolated molecule of C5H10, with the ωB97M-V functional and the def2-TZVPD basis.

Cartesian coordinates (Å):
C (-1.16532, 0.54889, -0.08751)
C (0.20342, 1.23826, -0.34457)
C (1.28694, 0.15233, -0.10895)
C (0.50913, -1.16815, -0.01956)
C (-0.82959, -0.77983, 0.60595)
H (-1.65868, 0.34353, -1.04526)
H (-1.85787, 1.16423, 0.49718)
H (0.25310, 1.62501, -1.36830)
H (0.35833, 2.09817, 0.31646)
H (1.82934, 0.34238, 0.82539)
H (2.03630, 0.12835, -0.90787)
H (1.02980, -1.95722, 0.53286)
H (0.31696, -1.54401, -1.03299)
H (-0.72814, -0.63411, 1.69007)
H (-1.58373, -1.55783, 0.44710)

Output
**SMILES**: C1CCCC1

***

No. 4
Computed, not measured: an isolated molecule of C5H10 at a distorted geometry, with the ωB97M-V functional and the def2-TZVPD basis.

Cartesian coordinates (Å):
C (-0.15593, -1.72896, 1.13670)
C (-0.43490, -0.20159, 0.93102)
C (0.46709, 0.36662, -0.14757)
C (0.30655, 0.46549, -1.65772)
C (-0.05581, 1.68460, -0.81809)
H (-0.71452, -2.18181, 1.95349)
H (0.89012, -1.83320, 1.51834)
H (-0.32847, -2.07732, 0.15660)
H (-1.54276, -0.25495, 0.62073)
H (-0.35001, 0.42492, 1.80834)
H (1.45755, 0.43751, 0.26089)
H (-0.44471, -0.11064, -2.09267)
H (1.35657, 0.50787, -2.11979)
H (0.63304, 2.50792, -0.96350)
H (-1.08379, 1.99353, -0.58677)

Output
**SMILES**: CCC1CC1

***

The records above yield E_tot values of -196.477302, -196.447296, -196.507940, -196.446440 a.u., respectively.
The records above yield energy relative to the best compared isomer or geometry (same formula, charge and spin) values of 19.5, 38.3, 0.3, 38.9 kcal per mole, respectively.

=====

(1)
# C5H8NO
........
Here the entry continues
7 Quick Takes Friday (Vol. 70)
-- The article is interrupted by records of molecules --
<<<
A molecular structure, C5H16N2NaO9. Source: the Open Molecules 2025 dataset; level of theory: ωB97M-V with the def2-TZVPD basis set.

Calculated values
HOMO energy = -3.40 eV
net charge = -1

Atoms and positions in Å:
Na: -1.1392 -0.8856 -0.2425
O: -4.3808 1.0631 -1.1729
O: -3.0879 -0.3024 4.9217
O: 0.4823 1.7216 3.5845
O: 1.2936 -0.2468 -3.1900
O: 1.8860 -3.1452 0.7961
O: -4.7759 -1.3161 4.1639
O: -0.2878 2.0905 1.6143
O: -1.0161 3.0090 3.4337
O: -2.9726 -1.3129 3.1551
N: -0.2465 2.2678 2.7895
N: -3.6251 -1.0039 4.0871
C: 3.3008 -3.0650 0.6394
C: 2.3464 1.9572 -3.2146
C: -5.1798 1.8147 -0.3130
C: 3.9182 -1.7834 1.2532
C: 1.6952 0.7873 -4.0354
H: 2.4418 0.4885 -4.7711
H: 2.8583 2.6404 -3.8923
H: 0.8080 1.1225 -4.5726
H: -6.1600 2.1291 -0.6714
H: 3.7596 -3.1566 -0.3450
H: 3.5996 -1.6854 2.2910
H: 4.9755 -1.9886 1.4208
H: -5.3702 1.2012 0.5676
H: 3.0218 1.4801 -2.5044
H: -4.9216 0.5559 -1.7827
H: 0.9142 -0.9573 -3.7123
H: 3.7209 -0.8265 0.7699
H: -4.6217 2.7210 -0.0779
H: 1.6417 2.5226 -2.6048
H: 1.4043 -3.9304 0.5258
H: 3.7170 -3.9665 1.0891

Quick look at the Löwdin charges, all values in e:
1 Na 0.858
2 O -0.130
3 O -0.047
4 O -0.069
5 O -0.084
6 O -0.080
7 O -0.066
8 O -0.074
9 O -0.097
10 O -0.082
11 N -0.716
12 N -0.773
13 C -0.316
14 C -0.061
15 C -0.168
16 C -0.070
17 C -0.328
18 H 0.102
19 H 0.069
20 H 0.103
21 H 0.074
22 H 0.094
23 H 0.077
24 H 0.068
25 H 0.087
26 H 0.071
27 H 0.069
28 H 0.079
29 H 0.074
30 H 0.089
31 H 0.073
32 H 0.077
33 H 0.099

---

2 unconnected molecules or ions with the total composition C4H13N2O. Source: the Open Molecules 2025 dataset; level of theory: ωB97M-V with the def2-TZVPD basis set.

Calculated values
HOMO energy = -13.69 eV
ΔE to the lowest compared entry with this formula, charge and spin = 40.0 kcal/mol
net charge = +1

Atoms and positions in Å:
O: 0.5417 -2.8646 -0.9130
N: -1.3941 -0.7235 0.1491
N: 0.2018 1.1455 -1.1177
C: 0.1883 1.6697 0.2557
C: 0.4073 0.5426 1.2730
C: 1.1212 1.5028 -1.8954
C: -0.8860 -0.2286 1.4593
H: 0.7150 1.0414 2.1895
H: 1.0372 1.2822 -2.9601
H: 1.9515 2.1830 -1.6791
H: 1.0315 2.3725 0.3299
H: 1.1184 -3.2765 -1.5719
H: -0.7296 -1.1147 2.0775
H: 1.2579 -0.0835 1.0125
H: -1.6499 0.3462 1.9743
H: -1.3435 0.0253 -0.5604
H: 0.3455 -3.6091 -0.3292
H: -2.3565 -1.0530 0.2323
H: -0.8818 -1.4779 -0.3246
H: -0.6758 2.3201 0.3983

Quick look at the Löwdin charges, all values in e:
1 O -0.054
2 N 0.178
3 N -0.063
4 C -0.224
5 C -0.155
6 C -0.007
7 C -0.149
8 H 0.125
9 H 0.084
10 H 0.093
11 H 0.112
12 H 0.066
13 H 0.132
14 H 0.124
15 H 0.135
16 H 0.124
17 H 0.057
18 H 0.172
19 H 0.118
20 H 0.130

---

2 unconnected molecules or ions with the total composition C2H3N3O2. Source: the Open Molecules 2025 dataset; level of theory: ωB97M-V with the def2-TZVPD basis set.

Calculated values
HOMO energy (alpha / beta) = -10.37 / -10.37 eV
ΔE to the lowest compared entry with this formula, charge and spin = 183.0 kcal/mol

Atoms and positions in Å:
O: 0.6846 1.8481 -0.2647
O: 2.4620 0.6868 0.0134
>>>

My Grandma Celebrates her 89th birthday: Here's one of the people through whom God has shown me that miracles really do happen.  Read more here.
What did that say?! Kevin and I have become a pretty good team when it comes to copy editing or just reading and laughing about poorly written already published pieces.  We have a favorite publication which often provides us with plenty of comic relief, though nothing in it is really meant to be humorous. 
     Not only do we each find ways to help others improve their essays, articles, proposals, etc., but we also have lots of fun doing it.  Among the most amusing tidbits we helped refine this week involved someone claiming to have “spearheaded a blood drive.”  Kevin was doubled over laughing.  I simply made the comment that they must have gotten much higher donations than usual.  Another gem was that someone claimed they had experience “working sexual minorities.”  This must be rather confusing to employers minus the preposition “with” included.  
### Someone pasted data records at this point
<<<
Version A
A gas-phase ion, C5H12N (charge +1). Source: the Open Molecules 2025 dataset; level of theory: ωB97M-V/def2-TZVPD.

The geometry in XYZ format:
```
18
Properties=species:S:1:pos:R:3
C 0.5774 -2.2384 -0.8633
C -0.7287 -1.4436 -0.7768
C -0.5283 0.0268 -1.2667
C 0.0605 0.9879 -0.1821
C -0.2688 1.0274 1.1154
N 0.2742 2.1947 1.8815
H 1.3375 -1.5270 -0.3501
H 0.4871 -3.1542 -0.3637
H 0.8321 -2.1869 -1.9250
H -1.5333 -1.8386 -1.3749
H -0.9939 -1.4479 0.3044
H 0.2859 0.1094 -2.0109
H -1.3733 0.2742 -1.8375
H 0.7543 1.8524 -0.4590
H -0.2852 0.0857 1.6857
H 0.9431 1.7864 2.4939
H 0.4800 3.0245 1.2985
H -0.3205 2.4672 2.6307
```

SMILES: CCC/C=C/[NH3+]
Orbital gap in eV: 10.754
Net charge: +1
Spin multiplicity: 1

natural (NBO) charges, unit e, in atom order: C -0.5861; C -0.3814; C -0.4532; C -0.0625; C -0.1425; N -0.6876; H 0.1788; H 0.2277; H 0.2180; H 0.2233; H 0.1849; H 0.2237; H 0.2622; H 0.2009; H 0.2486; H 0.4430; H 0.4617; H 0.4404

Version B
2 unconnected molecules or ions with the total composition C5H12N. Source: the Open Molecules 2025 dataset; level of theory: ωB97M-V/def2-TZVPD.

The geometry in XYZ format:
```
18
Properties=species:S:1:pos:R:3
C -1.6964 -1.1112 -0.2377
C -2.6278 -1.9372 0.1788
N -0.3346 -1.1397 0.3267
H -1.8367 -0.3347 -0.9742
H -3.6129 -1.9117 -0.2659
H -2.4458 -2.6467 0.9762
H -0.3196 -1.4838 1.2884
H 0.3022 -1.7213 -0.2234
H 0.0577 -0.1806 0.3191
C 2.3411 0.7377 -0.1877
C 1.2398 1.6862 -0.5419
C 0.1707 2.0055 0.1802
H 3.3101 1.2173 -0.3571
H 2.3261 0.4661 0.8673
H 2.3401 -0.1519 -0.8178
H 1.3098 2.1202 -1.5328
H -0.5249 2.7431 -0.1924
H 0.0013 1.6426 1.1941
```

Orbital gap in eV: 10.556
Net charge: +1
Spin multiplicity: 1

natural (NBO) charges, unit e, in atom order: C -0.0844; C -0.3148; N -0.7174; H 0.2431; H 0.2540; H 0.2185; H 0.4443; H 0.4456; H 0.4755; C -0.6839; C -0.1504; C -0.4600; H 0.2647; H 0.2112; H 0.2149; H 0.2196; H 0.2333; H 0.1863

Which is most stable? The ranking, best first, is version B, version A.

Version A
2 unconnected molecules or ions with the total composition C5H12N. Source: the Open Molecules 2025 dataset; level of theory: ωB97M-V/def2-TZVPD.

The geometry in XYZ format:
```
18
Properties=species:S:1:pos:R:3
C -1.7657 0.0742 1.4841
C -2.4338 0.0137 0.1412
C -1.5059 -0.4072 -1.0474
C -0.2682 0.5239 -1.1260
C 0.7338 0.2012 -0.4409
N 4.3786 -0.3195 0.3259
H -0.6661 0.1210 1.3671
H -2.0406 0.9239 2.0794
H -1.9995 -0.7779 2.1159
H -3.1881 -0.7642 0.0701
H -2.8364 0.9479 -0.2211
H -1.1070 -1.3744 -0.7390
H -2.0829 -0.4992 -1.9602
H -0.2860 1.3333 -1.8626
H 1.7683 0.5357 -0.3694
H 3.4868 0.0310 0.0380
H 5.0863 0.3611 0.5510
H 4.7266 -0.9244 -0.4060
```

Orbital gap in eV: 4.816
Net charge: +1
Spin multiplicity: 1

natural (NBO) charges, unit e, in atom order: C -0.6095; C -0.3879; C -0.3700; C -0.3078; C 0.3432; N -1.0485; H 0.1918; H 0.2531; H 0.2464; H 0.2579; H 0.2197; H 0.2288; H 0.2716; H 0.3727; H 0.2697; H 0.3104; H 0.3858; H 0.3728

Version B
>>>
Big Sis Removes Stumbling Blocks Vivi kindly removed the building blocks from her sisters’ rolling, creeping, wishing-to-crawl path today after being asked only once when I explained that we don’t want either of her sisters to roll onto one of her wooden blocks and get hurt.  An explanation, stated calmly, along with the suggestion of a nearby place to put them seemed to be the right combination for cooperation.  (Good reminder for future use.)    
The Water Buffalo Song You know you must have done something right if you have children requesting books they want you to read them and songs they’d like you to sing with them.  One of my personal favorite requests is Veggie Tales Silly Songs.  “The Water Buffalo Song” has been quite high on the top 10 request list this week. 
My first home Mass This past Monday, we had a lovely treat.  My Christ Renews His Parish (CRHP) sister Nora invited us over for a meaningful evening of prayer, breaking bread, and fun.  Nora had us out to her place (which isn’t exactly over the river, but you do have to go through lots of woods to get there) for an in-home Mass that our pastor Fr. Dan Brady came to do.  It was really neat that it was the Feast of St. Therese of Lisieux, one of my favorite saints, and certainly someone I had in mind when suggesting names for my youngest sister.  We sang hymns, broke open the Word, shared the Most Holy Eucharist, and powerful prayer.  Afterwards, we caught up with each other over a delicious homemade chili dinner with all the fixings. 
Stapleton Style Hospitality Kevin and I were invited over for dinner with our good friends Laura and Jeff.  Their place is so warm and inviting, decorated beautifully.  The food they make is absolutely delicious.  We feel really comfortable chatting, relaxing, laughing, praying, and sharing together.  It’s truly a glorious gift to have this Catholic couple in our lives who are also active in our parish, Cursillistas, Christ Renews His Parish alum, and who are also committed to loving the children God puts in their lives.
Make New Friends, But Keep the Old This week I’ve been reminded again of how wonderful it is to have people in my life now who have known me for a long time.  My best friend from high school Holly and I have kept in touch through the years, and we’re still there to listen and support each other in good times and bad.  Laura, who I met in fifth grade at St. Mary’s School, and I have reconnected after being out of touch for a number of years, and it’s been such a delightful rekindling of an old friendship.  Kevin and I are grateful we have many old friends mixed in with the new friends we’ve made, and we also thank God for the new friends that very quickly feel like they’re old friends.  Thanks God for our bloodlines family and our lovelines family (people of our choosing who aren’t necessarily related by blood or law).     
Head over to Conversion Diary, to read Jen Fulwiler's wonderful tradition of 7 Quick Takes Friday.